# Work order
It remains to say how many lines of the notes below hold the word "list", as a bare number.
# Source
********
Diffraction record for AsIrOs. The powder X-ray diffraction pattern is calculated, not measured: it uses a structure optimized by DFT (GGA-PBE) and copper Kα.

Structure:
a b c (Å): 4.1845 4.1845 2.9872
angles (deg): 90.00 90.00 120.00
Space group P3m1 (No. 156)
Symmetry-distinct sites (fractional):
As 0.0000 0.0000 0.0000 (multiplicity 1)
Ir 0.3333 0.6667 0.3325 (multiplicity 1)
Os 0.6667 0.3333 0.8224 (multiplicity 1)

Main lines, by intensity (5° ≤ 2θ ≤ 70°):
hkl 0 1 1, 39.08°, I = 100; hkl 1 1 0, 43.24°, I = 69; hkl 2 0 1, 59.69°, I = 29; hkl 1 0 0, 24.57°, I = 18; hkl 1 0 2, 67.87°, I = 10; hkl 0 0 2, 62.15°, I = 4; hkl 2 0 0, 50.36°, I = 3; hkl 2 1 0, 68.50°, I = 2; hkl 1 1 1, 53.47°, I = 2; hkl 0 0 1, 29.91°, I = 1


Theoretical XRD peak list
Compound: Pm4PtO
Radiation: Cu Kα (λ = 1.5418 Å)
Structure: a GGA-PBE-relaxed structure
Peak positions follow from Bragg's law for the DFT cell and can differ from measured ones.

Structural model:
abc: 9.326 9.326 6.653
angles: 90.00 90.00 149.35
Positions (direct):
Pm: 0.024 0.976 0.500
Pm: 0.159 0.841 0.861
Pm: 0.218 0.782 0.372
Pm: 0.408 0.592 0.692
Pm: 0.592 0.408 0.192
Pm: 0.782 0.218 0.872
Pm: 0.841 0.159 0.361
Pm: 0.976 0.024 0.000
Pt: 0.400 0.600 0.174
********
# Here it is
1